Wednesday, December 2, 2009

Between two parts of the page: records of crystals.
+++
1.
Material: CsKTaCl6
Method: DFT, PBE
State: relaxed Values from VASP.

The structure in Quantum ESPRESSO input format:
```
&SYSTEM
  ibrav = 0, nat = 18, ntyp = 4
/
ATOMIC_SPECIES
Cl 35.45 Cl.upf
K 39.10 K.upf
Cs 132.91 Cs.upf
Ta 180.95 Ta.upf
CELL_PARAMETERS angstrom
7.6272 0.0000 0.0000
-3.8136 6.6053 0.0000
0.0000 0.0000 13.7760
ATOMIC_POSITIONS crystal
Cl 0.3389 0.4100 0.8524
K 0.6667 0.3333 0.7500
Cl 0.5900 0.9289 0.8524
Cl 0.3389 0.9289 0.6476
Cs 0.0000 0.0000 0.5000
Cl 0.9289 0.5900 0.3524
Cl 0.9289 0.3389 0.1476
K 0.3333 0.6667 0.2500
Cl 0.6611 0.5900 0.1476
Cl 0.0711 0.4100 0.6476
Cs 0.0000 0.0000 0.0000
Cl 0.5900 0.6611 0.6476
Cl 0.6611 0.0711 0.3524
Cl 0.0711 0.6611 0.8524
Cl 0.4100 0.0711 0.1476
Ta 0.6667 0.3333 0.2500
Ta 0.3333 0.6667 0.7500
Cl 0.4100 0.3389 0.3524
```

## Properties
Space-group type: P-31c (163)
Energy (eV/f.u.): -39.34



2.
Material: Cs2KTbCl6
Method: DFT, PBE
State: relaxed Values from VASP.

The structure in Quantum ESPRESSO input format:
```
&SYSTEM
  ibrav = 0, nat = 10, ntyp = 4
/
ATOMIC_SPECIES
Cl 35.45 Cl.upf
Tb 158.93 Tb.upf
Cs 132.91 Cs.upf
K 39.10 K.upf
CELL_PARAMETERS angstrom
8.0342 0.0000 0.0000
4.0171 6.9578 0.0000
4.0171 2.3193 6.5599
ATOMIC_POSITIONS crystal
Cl 0.7665 0.2335 0.2335
Cl 0.2335 0.7665 0.2335
Cl 0.2335 0.7665 0.7665
Tb 0.0000 0.0000 0.0000
Cs 0.7500 0.7500 0.7500
Cl 0.7665 0.7665 0.2335
Cl 0.7665 0.2335 0.7665
K 0.5000 0.5000 0.5000
Cl 0.2335 0.2335 0.7665
Cs 0.2500 0.2500 0.2500
```

## Properties
Space-group type: Fm-3m (225)
Energy (eV/f.u.): -40.13



3.
Material: CsKTeCl6
Method: DFT, PBE
State: relaxed Values from VASP.

The structure in Quantum ESPRESSO input format:
```
&SYSTEM
  ibrav = 0, nat = 9, ntyp = 4
/
ATOMIC_SPECIES
Cs 132.91 Cs.upf
Cl 35.45 Cl.upf
Te 127.60 Te.upf
K 39.10 K.upf
CELL_PARAMETERS angstrom
-3.3876 -6.8695 0.6970
-0.0467 -4.8853 -5.9402
6.2561 -2.8519 2.2964
ATOMIC_POSITIONS crystal
Cs 0.0000 0.0000 0.0000
Cl 0.0566 0.6027 0.7056
Cl 0.6027 0.0566 0.2944
Te 0.3333 0.3333 0.5000
Cl 0.6027 0.3407 0.7056
Cl 0.0566 0.3407 0.2944
Cl 0.3407 0.6027 0.2944
K 0.6666 0.6667 0.5000
Cl 0.3407 0.0566 0.7056
```

## Properties
Space-group type: P312 (149)
Energy (eV/f.u.): -27.53



4.
Material: CsKThCl6
Method: DFT, PBE
State: relaxed Values from VASP.

The structure in Quantum ESPRESSO input format:
```
&SYSTEM
  ibrav = 0, nat = 18, ntyp = 4
/
ATOMIC_SPECIES
Cl 35.45 Cl.upf
K 39.10 K.upf
Cs 132.91 Cs.upf
Th 232.04 Th.upf
CELL_PARAMETERS angstrom
-0.2020 -0.4482 7.8929
-5.0312 -4.2942 -4.3344
9.3699 -10.6119 -0.3628
ATOMIC_POSITIONS crystal
Cl 0.9544 0.6071 0.3585
Cl 0.3929 0.3472 0.3585
Cl 0.3472 0.9544 0.6415
K 0.3333 0.6667 0.2500
Cl 0.6528 0.6071 0.1415
Cl 0.6071 0.9544 0.8585
Cl 0.0456 0.6528 0.8585
Cl 0.9544 0.3472 0.1415
Cl 0.6071 0.6528 0.6415
Cl 0.3929 0.0456 0.1415
Cl 0.3472 0.3929 0.8585
K 0.6667 0.3333 0.7500
Cs 0.0000 0.0000 0.0000
Th 0.3333 0.6667 0.7500
Cs 0.0000 0.0000 0.5000
Cl 0.6528 0.0456 0.3585
Th 0.6667 0.3333 0.2500
Cl 0.0456 0.3929 0.6415
```
+++
The records of crystals stop here.


Statistics of reported cases in the US from 1995 to Sept 2009. Note what's at the top of the list. (From Joint Commission website.)

Just after praising Singapore's healthcare system in my last blog, I read today that the Ministry of Health (MOH) has received reports of 401 cases of hospital errors over the past seven years. In 2002, the MOH made it mandatory for hospitals to report such errors. This works out to one case a week. Among the cases was a patient who had the wrong knee cap replaced. Luckily it wasn't the wrong leg amputated!

Fortunately, most of the cases involved swabs left in the patient after surgery or wrong drugs administered to patients. I remember the last time I was in Singapore I read that two women patients were given chemotherapy drugs over hours instead of days. Luckily for the hospital, the women survived.

Singapore is among several countries in the world with a sentinel system that keeps a record of such cases of error with the aim of learning from them. Hospitals in Singapore are given a week to report the cases and two months to implement steps to ensure that similar errors do not recur, or their license will be revoked. Definitely a step in the right direction.

The overall percentage of hospital errors may be insignificant. But to the patients at the receiving end, it is not a matter to shrug off easily. They may have to endure unnecessary pain, and in some cases, the loss of a limb, or worse, their life. And what about the extra expenses incurred on medical rehabilitation?
That's me just before my liver operation on June 26, 2008.
I am reminded of my emergency liver operation last year. I had it done in Singapore. I was told it was related to the surgery I had 20 years ago to remove my gall bladder. Apparently that surgery could have been done better. It did enter my mind that I could have a legal case against that first doctor.

I wonder how many hospital mishaps in Malaysia go unreported. Most people wouldn't know if their doctors had left anything in them after a surgical procedure unless they experienced some pain or discomfort.

I am sure many of us have tales to tell about our own hospital experience. I look at the young doctors in our teaching hospitals and wonder how many of them are really cut out for the profession.
Have entry requirements into medical school been lowered to meet the pressing demand for more doctors in our country? Are our doctors so overworked that when they enter the operation room, they may not be fully alert or fully focused on the surgery they have to perform?

It's a scary thought. All we can do is to say our prayers that God will guide the hands of the doctor holding the knife.

1 comment:

foodbin said...

i have a friend who went for a colonscopy in a private hospital in Seremban and ended with one of her intestine pierced-underwent surgery to stitch it back in another hospital-imagine the pain and agony she has to suffer!